When the idea of what could be described as a “condo for cars” comes up in conversation with any number of auto enthusiasts, the questions begin.
Brad Oleshansky, a native of Birmingham who grew up working on cars with his Dad, has heard them all.
But the big one was one he asked himself, having earlier in his career headed to Los Angeles where he worked as an entertainment lawyer before heading home, the main reason being this is where he wanted to raise his kids.
“How can we create an environment for enthusiasts and the auto industry, the people who have a passion for cars?”
Oddly enough, the question had already been answered – just not in Metro Detroit.
In Minneapolis, in Denver, in Los Angeles and elsewhere, the private garage concept is taking off, generating headlines and interest from enthusiasts prepared to plunk down significant bucks to give their prize automotive possessions a place deserving of their value.
When Oleshansky began thinking about the concept that seemed to be more than a natural for Metro Detroit – with more than three times the number of car collectors and enthusiasts than Los Angeles – it seemed just a matter of time and circumstance before the idea would take hold.
This wasn’t an immediately actionable concept, with Oleshansky having moved back to the area from Los Angeles in 2004.
“I saw this massive car scene,” says Oleshansky, who was running a marketing services company. But he was also thinking. A lot.
“I was always fascinated by the fact that you’ve got the largest car scene in the world here in Metro Detroit and no one’s figured out how to monetize it, organize it, create a destination where people can really go and enjoy it.”
And what about the Woodward Dream Cruise, one of the largest single-day car events in the world?
“It’s completely disorganized,” quipped Oleshansky in outlining his plans to one group gathered to hear about M1 Concourse.
“It’s fun, but it’s just not a cohesive event.”
More to the point (and here’s Oleshansky’s marketing brain kicking in), there’s a lack of real opportunity for automakers and other retailers to actively engage with their customers.
“They participate in the Dream Cruise because they have to, but they really can’t engage with customers in the way they’d like to,” he added.
Oleshansky’s subsequent research lead him to the “car condo” concept, which one would think was an obvious idea for Metro Detroit, but until now has been overlooked.
First proposed in 2013, M1 Concourse is now in full development mode.
By April, Oleshansky and his team had already sold out the first phase of 80 units, with construction expected to start this summer and an opening a year later.
But first a little background.
_Unrelated to this article: calculated crystals_
'''
The following is a DFT calculation (PBE) of a relaxed Pr2RhS crystal.

Results
Total DFT energy (no corrections) = -6.43 eV per atom
Energy relative to the elements, uncorrected = -4.68 eV/f.u.
SG = R3m, No. 160
Relative energy among the computed polymorphs = 144 meV/atom

Lattice parameters (Å, degrees): 4.027 4.027 22.160 90.00 90.00 120.00
Element x y z (fractional)
1 Pr 0.000 0.000 0.000
2 Pr 0.000 0.000 0.177
3 Pr 0.333 0.667 0.667
4 Pr 0.333 0.667 0.844
5 Pr 0.667 0.333 0.333
6 Pr 0.667 0.333 0.511
7 Rh 0.000 0.000 0.589
8 Rh 0.333 0.667 0.255
9 Rh 0.667 0.333 0.922
10 S 0.000 0.000 0.756
11 S 0.333 0.667 0.423
12 S 0.667 0.333 0.089

~~~~~

The following is a DFT calculation (PBE-GGA) of crystalline Er15Tm4Sc at its relaxed geometry.

**Electronic total energy**: -4.6050 eV per atom

Cell: 4.9370 4.9370 24.6632 Å, 90.00 90.00 90.00°
Fractional coordinates of all 20 atoms:
Er 0.5000 0.0000 0.7011
Er 0.5000 0.0000 0.9024
Er 0.5000 0.5000 0.1983
Er 0.0000 0.5000 0.9024
Er 0.5000 0.0000 0.2989
Er 0.0000 0.5000 0.0976
Er 0.0000 0.5000 0.5000
Er 0.5000 0.5000 0.0000
Er 0.5000 0.5000 0.6005
Er 0.5000 0.5000 0.3995
Er 0.0000 0.5000 0.7011
Er 0.0000 0.5000 0.2989
Er 0.5000 0.0000 0.0976
Er 0.5000 0.0000 0.5000
Er 0.5000 0.5000 0.8017
Tm 0.0000 0.0000 0.8014
Tm 0.0000 0.0000 0.1986
Tm 0.0000 0.0000 0.6005
Tm 0.0000 0.0000 0.3995
Sc 0.0000 0.0000 0.0000

~~~~~

Compound: Na3NiP2
Source: the Alexandria database
Functional: PBE
Structure: relaxed

It has space group Cmcm (No. 63), with a = 8.268 Å, b = 9.839 Å, c = 6.008 Å, α = 90.00°, β = 90.00° and γ = 90.00°. The distinct sites, in fractional coordinates, are Na at (0.000, 0.069, 0.250), Na at (0.199, 0.242, 0.750), Ni at (0.000, 0.492, 0.250) and P at (0.206, 0.500, 0.000).

The calculation puts the mass density at 2.58 g/cm³. The density of states at the Fermi level comes out at 2.2 states/eV/f.u. As for the final energy: -0.2701 Ry/atom. As for the formation energy: -0.248 eV/atom.

~~~~~

Below is a relaxed structure of Pm3HoIn3, with properties calculated at the PBE level.

Lattice parameters (Å, degrees): 6.730 6.730 9.828 90.97 90.97 104.91
Fractional coordinates of all 14 atoms:
1 Pm 0.591 0.591 0.318
2 Pm 0.409 0.409 0.682
3 Pm 0.767 0.233 0.000
4 Pm 0.233 0.767 0.000
5 Pm 0.181 0.819 0.500
6 Pm 0.819 0.181 0.500
7 In 0.023 0.023 0.767
8 In 0.518 0.951 0.741
9 In 0.049 0.482 0.259
10 In 0.977 0.977 0.233
11 In 0.951 0.518 0.741
12 In 0.482 0.049 0.259
13 Ho 0.283 0.283 0.039
14 Ho 0.717 0.717 0.961

Spin magnetization = 0.0 μB per formula unit
Formation energy from the elements = -275 meV/atom
SG = C2/m (12)
Energy relative to the lowest polymorph listed for this composition = 1.25 kcal/mol of atoms

Below is a relaxed structure of Pm5Ho2In, with properties calculated at the PBE level.

Lattice parameters (Å, degrees): 7.596 7.596 6.918 123.30 123.29 90.02
Fractional coordinates of all 8 atoms:
1 Pm 0.241 0.241 0.938
2 Pm 0.697 0.241 0.938
3 Pm 0.697 0.697 0.938
4 Pm 0.771 0.771 0.542
'''
_Back to the article_
Fans at all levels
The story of how M1 Concourse came to be may have you shaking your head – perhaps in a good way – over government bureaucracy and how things sometimes come together in ways you might not expect.
M1 Concourse is on an 87-acre triangle-shaped piece of property, once home to the General Motors Corp. Validation Facility, and prior to that the Pontiac West Assembly Plant before becoming part of the automaker’s bankruptcy proceedings.

As such, it wasn’t being actively marketed, but it was available – to the right buyer.
“We actually couldn’t just buy it,” says Oleshansky. “We had to pitch the Department of Justice with the idea.”
That process, while daunting at first, turned out to be as simple as explaining what M1 Concourse would be. And what it wouldn’t.
“We told them, ‘this isn’t a studio. It’s not a casino. It’s a car project on a car site in a car town,’” said Oleshansky.
And the government loved it.
And, oh by the way, Oleshansky’s proposal includes building a 1.5-mile performance track.
What Oleshansky thought was that that initial “sure thing” would soon be mired in bureaucratic red tape once the team set out to get the necessary approvals from the city of Pontiac.
Fortunately, Lou Schimmel, who was the municipality’s emergency manager at the time, was “very creative,” said Oleshansky, who said he looked at the project as one that would drive traffic into downtown Pontiac.
“They saw this as a gateway project,” Oleshansky said of city officials, who quickly gave their blessing to the idea.
Here the article breaks off for materials data:
[1]
Pd3AuO | PBE-GGA | relaxed

Cell lengths 4.2240, 4.2240, 4.2240 Å; angles 90.00, 90.00, 90.00 degrees
Closest atoms and distances in Å follow each position.
Fractional positions:
1 Au 0.5000 0.5000 0.5000  12 Pd 2.99
2 Pd 0.0000 0.0000 0.5000  2 O 2.11
3 Pd 0.0000 0.5000 0.0000  2 O 2.11
4 Pd 0.5000 0.0000 0.0000  2 O 2.11
5 O 0.0000 0.0000 0.0000  6 Pd 2.11

Values from the calculation:
Raw total energy = -4.75 eV/atom
Energy relative to the elements, uncorrected = 0.06 eV/f.u.
Energy above the most stable polymorph in this dataset = 0.0 meV per atom
Magnetization = 0.0 μB/cell


[2]
Pd2AuO5 | PBE-GGA | relaxed

Cell lengths 4.1856, 5.4651, 10.3708 Å; angles 90.00, 90.00, 112.52 degrees
Closest atoms and distances in Å follow each position.
Fractional positions:
1 Pd 0.8570 0.7140 0.0653  6 O 2.00-2.24
2 Pd 0.8570 0.7140 0.4347  6 O 2.00-2.24
3 Pd 0.1430 0.2860 0.9347  6 O 2.00-2.24
4 Pd 0.1430 0.2860 0.5653  6 O 2.00-2.24
5 O 0.0552 0.1104 0.3922  2 Pd 2.00-2.05, 1 Au 2.08
6 O 0.7559 0.5119 0.2500  2 Au 2.17, 2 Pd 2.17
7 O 0.9448 0.8896 0.6078  2 Pd 2.00-2.05, 1 Au 2.08
8 O 0.0552 0.1104 0.1078  2 Pd 2.00-2.05, 1 Au 2.08
9 O 0.2441 0.4881 0.7500  2 Au 2.17, 2 Pd 2.17
10 O 0.9448 0.8896 0.8922  2 Pd 2.00-2.05, 1 Au 2.08
11 O 0.3167 0.6334 0.4308  3 Pd 2.13-2.24, 1 Au 2.22
12 O 0.3167 0.6334 0.0692  3 Pd 2.13-2.24, 1 Au 2.22
13 O 0.6833 0.3666 0.5692  3 Pd 2.13-2.24, 1 Au 2.22
14 O 0.6833 0.3666 0.9308  3 Pd 2.13-2.24, 1 Au 2.22
15 Au 0.1998 0.3996 0.2500  6 O 2.08-2.22
16 Au 0.8002 0.6004 0.7500  6 O 2.08-2.22

Values from the calculation:
Raw total energy = -4.83 eV/atom
Energy relative to the elements, uncorrected = -0.19 eV/f.u.
Magnetization = 0.0 μB/cell


[3]
Pd2Au2O | PBE-GGA | relaxed

Cell lengths 3.5881, 3.5881, 7.3482 Å; angles 75.87, 75.87, 90.00 degrees
Closest atoms and distances in Å follow each position.
Fractional positions:
1 Pd 0.7500 0.2500 0.5000  4 Pd 2.54, 4 Au 2.78
2 Pd 0.2500 0.7500 0.5000  4 Pd 2.54, 4 Au 2.78
3 O 0.0000 0.0000 0.0000  8 Au 2.86
4 Au 0.5962 0.5962 0.8075  1 Au 2.65, 4 Pd 2.78, 4 O 2.86
5 Au 0.4038 0.4038 0.1925  1 Au 2.65, 4 Pd 2.78, 4 O 2.86

Values from the calculation:
Raw total energy = -3.66 eV/atom
Energy relative to the elements, uncorrected = 3.62 eV/f.u.
Magnetization = 0.0 μB/cell


[4]
PdAuO | PBE-GGA | relaxed

Cell lengths 4.1415, 4.6967, 7.1997 Å; angles 63.38, 68.40, 52.43 degrees
Closest atoms and distances in Å follow each position.
Fractional positions:
1 Au 0.9643 0.4885 0.0121  1 O 2.27
2 Au 0.2262 0.0199 0.8105  1 O 2.27
3 Pd 0.6537 0.3435 0.5505  2 O 2.00-2.03
4 Pd 0.5366 0.1652 0.2721  2 O 2.00-2.03
5 O 0.9560 0.6266 0.2782  2 Pd 2.00-2.03
6 O 0.2343 0.8821 0.5444  2 Pd 2.00-2.03

Values from the calculation:
Raw total energy = -4.34 eV/atom
Energy relative to the elements, uncorrected = 0.40 eV/f.u.
Energy above the most stable polymorph in this dataset = 26.4 meV per atom
Magnetization = 0.0 μB/cell

* * * * *

(1)
From there, the idea began to take shape, with architects, engineers, Oakland County and the city all taking part in putting together a package and plan that has more than captured the attention and excitement of auto enthusiasts.
It’s got them writing checks.
Those 80 first phase slots sold for a minimum $110,000 and up to $250,000, and it’s clear that at least some of the owners had a part in convincing friends, neighbors and work associates into coming along.

Oleshansky’s plans for M1 Concourse are bound to keep those with grease and oil running through their veins spending at least a good portion – and perhaps a disproportionate amount of their time – enjoying it all.
Especially noteworthy is that planned 1.5-mile performance track, not a “race” course as Oleshansky is quick to point out, but a physical opportunity to put a vehicle through several hairpin turns and even a one-third mile straightaway, which may actually keep public roadways a little safer in a tongue-in-cheek kind of way.
Developers are also working closely with at least one national restaurant chain and have plans to build out the entire facility with the kind of auto magnet features bound to sustain even more interest as second and third phases fill out in the months and years to come.
Oleshansky says having a group of “founding owners” is bound to help in that process as people begin imagining the possibilities M1 Concourse will help realize.
“We know this is the next big thing when it comes to showcasing the excitement that automotive enthusiasts in this area already have and want to express,” he said.
Building a car community
The evolution of the concept worldwide may have begun in Europe, where home garages are rare.
“If you have a nice vehicle, you don’t really have a place for it, and that idea sparked the idea there,” said Oleshansky.
What typically happened then was the idea of “community” being built around the storage of the vehicles.
“They don’t just become storage facilities, they become communities of people with the same interests and passion, a place for people to enjoy their hobby of collecting and showing cars,” he said. “That’s the case whether you have one car or 50 cars. It’s a place where you can be with other people with the same interest.”
The garages, then, become more than storage spaces.
“They become a place to conduct business, to network, a place to work on a car,” said Oleshansky.
That concept began taking off in the U.S., with the largest project at the moment being in Minneapolis, where the AutoMotorPlex has sold 150 “car condos” in the past three years.
So here’s where the math from a market standpoint becomes interesting.
Minneapolis has 4,000 classic, exotic and muscle cars.
Detroit has some 62,000 comparable vehicles within an hour’s drive.
“It’s way more than anywhere,” says Oleshansky. “Even Los Angeles, which people think has a lot but it’s not even close—there’s about 13,000 classic, exotic and muscle cars there.”
Once he’d done his research, Oleshansky began looking for a property that would be suitable.
And that’s where the roadblocks appeared.
“I quickly discovered that there’s no property that was zoned or a city that would want this, especially on Woodward where I wanted to be,” he said.
That includes Royal Oak, which Oleshansky says has almost the opposite attitude.
“They don’t really like cars,” he said. “They try to push cars out, which is kind of funny.”
Even Detroit, where there was interest in the project, didn’t work out from the standpoint of location.
“We couldn’t find a property that was big enough,” said Oleshansky, who said he was banging his head, having a strong idea but no place to put it.
And that’s when the tide turned.
“We heard about the property that seemed like it would work,” he recalls, referring to the location that ultimately would become M1 Concourse.
But there wasn’t what you’d call a lot of positive vibes going in.
“All my friends who are in real estate told me ‘you’ll never win this bid, you’ve never done real estate before,’” he adds.
Clearly, they were wrong.
“You can have 87 acres of concrete in Pontiac. Congratulations,” Oleshansky recalls the government’s response.
Under the deal, the M1 Concourse team had about 18 months to do its due diligence on the deal.
As part of the conversations Oleshansky had with automakers, the idea of not just car condos, but the possible use of the performance track Oleshansky will build kept coming up.
It turns out that the existing proving tracks used by automakers throughout the region are not at all suitable for the entertainment of customers and clients. The idea of having a track as part of the M1 Concourse development was just what they were looking for.
“The track became a viable opportunity,” says Oleshansky.
Prices for the sold-out Phase 1 were $110,000 for a 600-square-foot unit, designed for two to three vehicles, and $230,000 to $250,000 for a 1,200-square-foot unit.
There were 26 smaller units and 54 larger units in the first phase.
Oleshansky expects Phase 2 units to be snapped up quickly once the clearing and construction operation begins this June.
“There are a number of people who have expressed a strong interest but are waiting for the work to begin,” he says.
In the meantime, M1 Concourse has letters of intent on some 25,000 square feet of commercial space, including a 10,000-square-foot performance shop that would serve as a place for car repairs, maintenance and performance upgrades, and a 15,000-square-foot space that will be occupied by an undisclosed auto supply business.
_Someone pasted calculated crystals at this point_
┌──
{
  "formula": "Li2HPdRh",
  "functional": "PBE",
  "state": "relaxed",
  "e_above_lowest_polymorph_mev_per_atom": 0.0,
  "space_group": "No. 123",
  "cell": [[3.9742, 0.0000, 0.0000], [0.0000, 3.9742, 0.0000], [0.0000, 0.0000, 3.5339]],
  "species": ["Rh", "H", "Pd", "Li", "Li"],
  "frac_coords": [[0.0000, 0.0000, 0.5000], [0.0000, 0.0000, 0.0000], [0.5000, 0.5000, 0.5000], [0.0000, 0.5000, 0.0000], [0.5000, 0.0000, 0.0000]]
}


{
  "formula": "PaSn2Cl8",
  "functional": "PBE",
  "state": "relaxed",
  "space_group": "No. 12",
  "formation_energy_uncorrected_mev_per_atom": -1360,
  "cell": [[-0.7706, 6.5510, -2.4097], [-6.8819, -2.1477, -3.6382], [-3.6688, -1.7334, 6.6939]],
  "species": ["Cl", "Cl", "Cl", "Cl", "Cl", "Cl", "Cl", "Cl", "Pa", "Sn", "Sn"],
  "frac_coords": [[0.8328, 0.8810, 0.6656], [0.3127, 0.7615, 0.1273], [0.6873, 0.2385, 0.8727], [0.1672, 0.1190, 0.3344], [0.8146, 0.7615, 0.1273], [0.1854, 0.2385, 0.8727], [0.6997, 0.3982, 0.3994], [0.3003, 0.6018, 0.6006], [0.0000, 0.0000, 0.0000], [0.1357, 0.5204, 0.2713], [0.8643, 0.4796, 0.7287]]
}


{
  "formula": "YSc5Pd4",
  "functional": "PBE",
  "state": "relaxed",
  "space_group": "No. 123",
  "delta_e_f_mev_per_atom": -697,
  "cell": [[3.3154, 0.0000, 0.0000], [0.0000, 3.3154, 0.0000], [0.0000, 0.0000, 18.3261]],
  "species": ["Sc", "Sc", "Sc", "Sc", "Sc", "Pd", "Pd", "Pd", "Pd", "Y"],
  "frac_coords": [[0.5000, 0.5000, 0.3179], [0.5000, 0.5000, 0.1384], [0.5000, 0.5000, 0.8616], [0.5000, 0.5000, 0.6821], [0.5000, 0.5000, 0.5000], [0.0000, 0.0000, 0.2284], [0.0000, 0.0000, 0.7716], [0.0000, 0.0000, 0.5912], [0.0000, 0.0000, 0.4088], [0.0000, 0.0000, 0.0000]]
}


{
  "formula": "Pr2Pt3Rh",
  "functional": "PBE",
  "state": "relaxed",
  "space_group": "No. 166",
  "delta_e_f_mev_per_atom": -947,
  "cell": [[4.8671, -0.1497, -2.5598], [-3.0958, 4.5417, -0.2291], [-0.2005, 0.1484, 5.5216]],
  "species": ["Pt", "Pt", "Pt", "Pr", "Pr", "Rh"],
  "frac_coords": [[0.0000, 0.0000, 0.5000], [0.5000, 0.5000, 0.5000], [0.5000, 0.0000, 0.5000], [0.2508, 0.6256, 0.8763], [0.7492, 0.3744, 0.1237], [0.0000, 0.0000, 0.0000]]
}


Please write out number 4 again, unchanged.
{
  "formula": "Pr2Pt3Rh",
  "functional": "PBE",
  "state": "relaxed",
  "space_group": "No. 166",
  "delta_e_f_mev_per_atom": -947,
  "cell": [[4.8671, -0.1497, -2.5598], [-3.0958, 4.5417, -0.2291], [-0.2005, 0.1484, 5.5216]],
  "species": ["Pt", "Pt", "Pt", "Pr", "Pr", "Rh"],
  "frac_coords": [[0.0000, 0.0000, 0.5000], [0.5000, 0.5000, 0.5000], [0.5000, 0.0000, 0.5000], [0.2508, 0.6256, 0.8763], [0.7492, 0.3744, 0.1237], [0.0000, 0.0000, 0.0000]]
}

----------

VASP calculation (PBE) on a relaxed Tb3Ho4Er2 crystal.

The structure in POSCAR format:
```
Tb3Ho4Er2
1.0
7.481 -2.489 0.000
7.481 2.489 0.000
-2.466 0.000 7.482
Tb Ho Er
3 4 2
direct
0.000 0.000 0.000
0.111 0.111 0.666
0.889 0.889 0.334
0.222 0.222 0.333
0.333 0.333 0.000
0.667 0.667 0.000
└──
_The entry goes on_
The 25,000 square feet will come out of the renovation of the only building still on the site.
There are also plans for a trackside building, which would be occupied by an office and commercial tenant, taking between 30,000 and 50,000 square feet.
Oleshansky is also working to firm up an agreement from a restaurant operator, also undisclosed at this point.
It is clear that excitement for the M1 Concourse project continues to build.
“I’m getting more pumped by the day,” says Oleshansky. “That excitement will grow, especially as we get closer to the construction starting.”